# Input
____________
Compound: La2CoNiO6
Source: Alexandria
Functional: PBE with a Hubbard U
Structure: optimized geometry

Cell: 5.4322 5.5441 5.5450 Å, 60.01 59.31 59.32°
Last column: magnetic moment on the atom in μB.
Element x y z (fractional)
O 0.7463 0.1940 0.3225  -0.01
O 0.2537 0.6781 0.2628  -0.01
O 0.7463 0.3219 0.7372  -0.01
O 0.2537 0.8060 0.6775  -0.01
La 0.2476 0.2509 0.2507  0.01
O 0.2526 0.2638 0.8058  -0.01
Ni 0.0000 0.0000 0.0000  1.68
La 0.7524 0.7491 0.7493  0.01
O 0.7474 0.7362 0.1942  -0.01
Co 0.5000 0.5000 0.5000  1.36

Final energy ... -69.550 eV per cell
SG ... R-3, No. 148

~~~~~

Computed, not measured: Au2SeF at its PBEsol-relaxed geometry at the SCAN level of DFT.

a = 4.4829 Å, b = 4.4829 Å, c = 8.0724 Å
α = 106.12°, β = 106.12°, γ = 90.00°
Atoms (fractional coordinates):
Au1 0.4037 0.8750 0.2500
Au2 0.8463 0.3750 0.2500
Au3 0.1250 0.1537 0.7500
Au4 0.6250 0.5963 0.7500
Se1 0.2500 0.7500 0.5000
____________

# Work order
Duplicate the notes further up from the line with "Element" to the end character by character.

# Written answer
Element x y z (fractional)
O 0.7463 0.1940 0.3225  -0.01
O 0.2537 0.6781 0.2628  -0.01
O 0.7463 0.3219 0.7372  -0.01
O 0.2537 0.8060 0.6775  -0.01
La 0.2476 0.2509 0.2507  0.01
O 0.2526 0.2638 0.8058  -0.01
Ni 0.0000 0.0000 0.0000  1.68
La 0.7524 0.7491 0.7493  0.01
O 0.7474 0.7362 0.1942  -0.01
Co 0.5000 0.5000 0.5000  1.36

Final energy ... -69.550 eV per cell
SG ... R-3, No. 148

~~~~~

Computed, not measured: Au2SeF at its PBEsol-relaxed geometry at the SCAN level of DFT.

a = 4.4829 Å, b = 4.4829 Å, c = 8.0724 Å
α = 106.12°, β = 106.12°, γ = 90.00°
Atoms (fractional coordinates):
Au1 0.4037 0.8750 0.2500
Au2 0.8463 0.3750 0.2500
Au3 0.1250 0.1537 0.7500
Au4 0.6250 0.5963 0.7500
Se1 0.2500 0.7500 0.5000